Exercise:
Could you count the lines underneath that contain the word "of" and give the number alone?

Given:
Record 1
K2BaNbS4 | GGA-PBE | relaxed

Computed properties:
Density of states at the Fermi level   0.1658 states/eV/atom
Total magnetization   1.01 μB/f.u.
Calculated density   2.66 Mg/m³
E_tot   -40.557 eV/f.u.

```
K2BaNbS4
1.0
-3.759 3.759 4.818
3.759 -3.759 4.818
3.759 3.759 -4.818
K Ba Nb S
2 1 1 4
Cartesian
0.000 0.000 0.000
0.000 3.759 2.409
0.000 0.000 4.818
3.759 0.000 2.409
2.227 -1.511 3.393
2.248 1.532 1.425
1.532 5.270 -1.425
1.511 2.227 6.244
```

---

Record 2
KBaNbS4 | GGA-PBE | relaxed

Computed properties:
Density of states at the Fermi level   0.0000 states/eV/atom
Total magnetization   0.00 μB/f.u.
E above lowest polymorph   0.00 eV/f.u.
Calculated density   3.14 Mg/m³

```
KBaNbS4
1.0
9.336 0.000 0.000
0.000 7.069 0.000
0.000 0.000 12.763
K Ba Nb S
4 4 4 16
Cartesian
1.265 1.767 0.955
3.403 5.302 7.336
5.933 1.767 5.426
8.071 5.302 11.808
0.191 5.302 4.137
4.477 1.767 10.518
4.859 5.302 2.245
9.145 1.767 8.626
2.139 1.767 5.404
2.528 5.302 11.785
6.807 1.767 0.977
7.196 5.302 7.359
0.148 5.302 7.436
1.692 0.070 10.735
1.692 3.465 10.735
1.812 5.302 1.202
2.856 1.767 7.583
2.976 3.605 4.354
2.976 7.000 4.354
4.520 1.767 1.055
4.816 5.302 11.707
6.360 0.070 8.409
6.360 3.465 8.409
6.480 5.302 5.179
7.524 1.767 11.561
7.644 3.605 2.028
7.644 7.000 2.028
9.188 1.767 5.326
```

---

Record 3
KBaNbS4 | GGA-PBE | relaxed

Computed properties:
Density of states at the Fermi level   0.0000 states/eV/atom
Total magnetization   0.00 μB/f.u.
E above lowest polymorph   0.02 eV/f.u.
Calculated density   2.96 Mg/m³

```
KBaNbS4
1.0
7.342 0.000 0.000
0.000 6.993 0.000
-2.527 0.000 8.677
K Ba Nb S
2 2 2 8
Cartesian
0.523 1.748 3.765
4.291 5.245 4.912
-0.418 1.748 8.211
5.233 5.245 0.467
1.589 5.245 1.740
3.226 1.748 6.938
-0.273 5.245 3.073
-1.531 5.245 8.202
2.953 0.048 2.129
2.953 3.449 2.129
1.862 3.545 6.548
1.862 6.945 6.548
6.346 1.748 0.476
5.088 1.748 5.605
```


# 1
This record from the Alexandria database describes Ac12TbPr6 after structural relaxation. The functional is PBE-GGA.

Geometry as POSCAR:
```
Ac12TbPr6
1.0
8.458 4.883 3.187
-8.458 4.883 3.187
0.000 -9.766 3.187
Ac Tb Pr
12 1 6
direct
0.065 0.584 0.376
0.102 0.155 0.738
0.155 0.738 0.102
0.262 0.898 0.845
0.376 0.065 0.584
0.416 0.624 0.935
0.584 0.376 0.065
0.624 0.935 0.416
0.738 0.102 0.155
0.845 0.262 0.898
0.898 0.845 0.262
0.935 0.416 0.624
0.000 0.000 0.000
0.214 0.317 0.467
0.317 0.467 0.214
0.467 0.214 0.317
0.533 0.786 0.683
0.683 0.533 0.786
0.786 0.683 0.533
```

Results
space group = R-3
density of states at the Fermi level = 36.34 states/eV per cell

---

# 2
This record from the Alexandria database describes TbDy4Y2Er2 after structural relaxation. The functional is PBE-GGA.

Geometry as POSCAR:
```
TbDy4Y2Er2
1.0
5.994 0.000 0.000
2.919 5.947 0.000
2.836 0.281 8.039
Tb Dy Y Er
1 4 2 2
direct
0.000 0.000 0.000
0.269 0.417 0.116
0.373 0.873 0.243
0.627 0.127 0.757
0.731 0.583 0.884
0.270 0.674 0.658
0.730 0.326 0.342
0.181 0.228 0.558
0.819 0.772 0.442
```

Results
space group = P-1
density of states at the Fermi level = 16.35 states/eV per cell

---

# 3
This record from the Alexandria database describes DySc4Rh after structural relaxation. The functional is PBE-GGA.

Geometry as POSCAR:
```
DySc4Rh
1.0
2.606 -8.547 0.000
2.606 8.547 0.000
0.000 0.000 6.960
Dy Sc Rh
2 8 2
direct
0.112 0.888 0.750
0.888 0.112 0.250
0.121 0.879 0.250
0.294 0.706 0.007
0.294 0.706 0.493
0.500 0.500 0.000
0.500 0.500 0.500
0.706 0.294 0.507
0.706 0.294 0.993
0.879 0.121 0.750
0.397 0.603 0.750
0.603 0.397 0.250
```

Results
space group = Cmcm
density of states at the Fermi level = 15.34 states/eV per cell

---

# 4
This record from the Alexandria database describes NdDy2InAu4 after structural relaxation. The functional is PBE-GGA.

Geometry as POSCAR:
```
NdDy2InAu4
1.0
2.527 1.459 8.417
-2.527 1.459 8.417
0.000 -2.918 8.417
Nd Dy In Au
1 2 1 4
direct
0.000 0.000 0.000
0.241 0.241 0.241
0.759 0.759 0.759
0.500 0.500 0.500
0.120 0.120 0.120
0.371 0.371 0.371

Written answer:
6